Population Growth Minister Needs to Focus on Growth, not Decline
Between two parts of the page: quantum chemistry results.
(1)
A single C20H18N2O3 molecule. Source: the OMol25 dataset; level of theory: ωB97M-V with the def2-TZVPD basis set.

## Properties
* HOMO level: -8.92 eV
* relative energy (zero: lowest compared OMol25 entry of this formula, charge and spin): 11.1 kcal/mol
* total energy: -30156.328 eV

Geometry as ORCA input:
```
! wB97M-V def2-TZVPD RIJCOSX def2/J DEFGRID3
* xyz 0 1
C -4.979 -3.277 0.267
H -4.961 -3.567 -0.785
H -4.504 -4.062 0.857
H -6.000 -3.111 0.600
O -4.295 -2.042 0.449
C -2.995 -2.039 0.154
O -2.389 -2.997 -0.245
C -2.395 -0.655 0.333
N -0.975 -0.755 0.505
C -0.276 0.094 1.285
O -0.778 0.872 2.075
C 1.204 -0.019 1.086
N 1.626 -0.829 0.145
C 2.948 -0.929 -0.080
C 3.400 -1.805 -1.090
C 4.736 -1.929 -1.345
C 5.677 -1.188 -0.610
C 5.271 -0.331 0.374
C 3.901 -0.178 0.665
C 3.411 0.689 1.665
C 2.063 0.771 1.877
H 1.624 1.416 2.621
H 4.109 1.276 2.246
H 5.990 0.241 0.943
H 6.728 -1.304 -0.830
H 5.082 -2.601 -2.117
H 2.663 -2.368 -1.642
H -0.449 -1.352 -0.120
H -2.810 -0.166 1.220
C -2.740 0.190 -0.925
C -2.043 1.516 -0.824
C -0.749 1.665 -1.309
C -0.065 2.854 -1.132
C -0.669 3.909 -0.471
C -1.960 3.772 0.008
C -2.641 2.581 -0.164
H -3.643 2.471 0.225
H -2.434 4.592 0.526
H -0.133 4.835 -0.326
H 0.944 2.952 -1.505
H -0.270 0.843 -1.822
H -2.401 -0.351 -1.812
H -3.822 0.316 -0.974
*
```

Atomic partial charges in e from the Mulliken method, atoms 1 to 4:
1. C -0.704
2. H 0.311
3. H 0.313
4. H 0.234

***

(2)
2 unconnected molecules or ions with the total composition ClH2NS. Source: the OMol25 dataset; level of theory: ωB97M-V with the def2-TZVPD basis set.

## Properties
* HOMO level (alpha / beta): -8.77 / -8.78 eV
* relative energy (zero: lowest compared OMol25 entry of this formula, charge and spin): 23.8 kcal/mol
* total energy: -24878.209 eV

Geometry as ORCA input:
```
! wB97M-V def2-TZVPD RIJCOSX def2/J DEFGRID3
* xyz 0 1
N -0.325 0.786 -0.301
S -0.249 1.687 0.908
Cl 0.870 -2.072 0.689
H -0.309 1.013 -1.256
H 0.014 -1.414 -0.041
*
```

Atomic partial charges in e from the Mulliken method, atoms 1 to 4:
1. N -0.271
2. S 0.039
3. Cl -0.280
4. H 0.231

***

(3)
A molecular structure, C45H31N8O3S3Ti. Source: the OMol25 dataset; level of theory: ωB97M-V with the def2-TZVPD basis set.

## Properties
* <S²>: 2.038
* HOMO level (alpha / beta): -9.02 / -10.43 eV
* relative energy (zero: lowest compared OMol25 entry of this formula, charge and spin): 56.0 kcal/mol
* total energy: -120850.092 eV

Geometry as ORCA input:
```
! wB97M-V def2-TZVPD RIJCOSX def2/J DEFGRID3
* xyz 1 3
Ti -0.244 -0.971 -0.578
C -2.682 1.208 2.335
C -2.329 0.428 1.267
N -1.049 0.057 1.063
C -0.127 0.461 1.970
C -0.524 1.292 3.030
N -1.768 1.665 3.213
C 1.156 -0.206 1.850
C 2.163 -0.273 2.803
C 3.049 -1.347 2.785
C 2.702 -2.463 1.986
C 1.679 -2.345 1.083
N 1.153 -1.102 0.813
C 0.732 -3.408 0.709
C 0.928 -4.776 0.872
N -0.070 -5.639 0.807
C -1.282 -5.151 0.551
C -1.488 -3.807 0.301
N -0.488 -2.931 0.387
C 4.190 -1.428 3.719
C 5.373 -2.045 3.327
C 6.432 -2.099 4.222
Folks, we need to stop painting ourselves as helpless, rural hicks who can’t get our act together. Because that seems to be the message we’re sending the rest of the country.
New Brunswick has a new Minister of Population Growth. Officially, Gilles LePage is the minister of Labour, Employment and Population Growth, but it’s the addition of those last two words that caught national attention. One headline proclaimed the position will focus on “elusive” growth in a place that “just can’t find people.”
Um, hello! I’m here. So are thousands of other people. Thousands of people who weren’t born in New Brunswick but choose to call it home.
David Campbell, who was until lately our provincial chief economist, recently shared that the average flow of immigrants into the Greater Moncton Area has increased nearly 500 percent over the past 10 years. Do we need more? Yes. Do we need organizations and policies and new ministries to make this happen? Yes. But we don’t need to focus on the shortcomings of our province; we need to draw people in with what is working and what talent we have here. We are WAY ahead of most of the rest of the country when it comes to increasing the number of people we attract. We need to be sharing that story, the one in which we ARE finding people, and we want more. But we also need to do better at keeping those people, as well as those who grow up here.
Unrelated to this entry: molecular data.
22
Properties=species:S:1:pos:R:3:lowdin_charge:R:1 method="wB97M-V/def2-TZVPD" total_energy_ha=-491.1674 total_charge=+2 spin_multiplicity=1
C 0.4881 1.0330 -1.3363 0.033
C 0.7719 0.7793 -2.5377 0.076
C 0.1863 2.2515 -0.3545 -0.163
C -0.2487 0.7903 -0.0353 -0.317
C -0.5883 -1.9679 1.9764 -0.128
N 1.0404 0.4174 -3.7354 0.255
N -1.6380 0.5762 -0.0631 0.167
N 0.5328 -0.1064 0.9531 0.140
N 0.1591 -1.4929 0.9081 -0.112
O -0.7214 3.1684 -0.6958 0.111
H 1.1403 2.4563 0.0421 0.157
H -1.6163 -1.4779 2.1585 0.119
H -0.7341 -3.0965 1.9478 0.138
H -0.0696 -1.7460 3.0075 0.127
H 0.2808 0.4998 -4.4605 0.201
H 1.9819 0.2677 -4.0634 0.163
H -1.9490 -0.1647 -0.7267 0.146
H -2.2294 1.3772 -0.2931 0.127
H 1.6154 -0.0737 1.0318 0.251
H 0.1052 -0.0565 1.9120 0.180
H 0.7431 -2.1489 0.4276 0.150
H -0.4863 4.0393 -0.2913 0.180

----------

Below is a molecular structure, C7H15NOS in a non-equilibrium geometry, with properties calculated with the ωB97M-V functional and the def2-TZVPD basis.

* frontier orbital gap (spin up / spin down): 8.07 / 8.07 eV
* E_HOMO (spin up / spin down): -8.76 / -8.77 eV
* energy relative to the best compared isomer or geometry (same formula, charge and spin): 810.53 kJ/mol
* net charge: 0
* max |F|: 4.68 eV Å⁻¹

Each line ends with the Löwdin charge.
Atoms and positions in Å:
1 C -2.4562 0.6054 -1.0932  -0.220
2 C 1.5092 0.6686 1.1453  -0.065
3 C 0.8046 -0.6895 1.1699  -0.167
4 C 2.1276 0.0668 -0.1023  -0.640
5 C 3.5570 0.0080 -0.1993  -0.037
6 C -4.6481 -0.7706 0.2746  -0.207
7 C 1.6034 0.5656 -1.4365  -0.006
8 N -2.5840 0.2268 1.7304  -0.337
9 O 1.5912 -1.2279 0.1225  -0.054
10 S -2.9698 -0.1631 0.3655  0.733
11 H -1.3981 0.6804 -1.1108  -0.040
12 H -2.8751 -0.0064 -1.8582  -0.018
13 H 0.9919 1.5808 0.9925  0.099
14 H 2.2672 0.9222 1.8552  0.104
15 H 0.9221 -1.0659 2.2189  0.134
16 H -0.2296 -0.5231 0.9118  0.057
17 H 4.0640 0.9483 0.0974  0.114
18 H 3.7653 -0.2174 -1.1856  0.059
19 H 3.9769 -0.7337 0.4994  0.111
20 H -4.9067 -0.9867 1.2604  0.030
21 H -5.2730 -0.2425 -0.3527  0.034
22 H -4.3109 -1.8034 -0.0348  0.073
23 H 1.1631 -0.1681 -2.1727  0.118
24 H 2.4556 0.9973 -1.8693  0.051
25 H 0.8525 1.3280 -1.2282  0.072

Below is a molecular structure, C3H4NiO3 in a non-equilibrium geometry, with properties calculated with the ωB97M-V functional and the def2-TZVPD basis.

* spin multiplicity: 4
* expectation value of S²: 3.773
* frontier orbital gap (spin up / spin down): 5.28 / 5.94 eV
* E_HOMO (spin up / spin down): -10.96 / -14.13 eV
* energy relative to the best compared isomer or geometry (same formula, charge and spin): 568.81 kJ/mol
* net charge: +1
* max |F|: 8.16 eV Å⁻¹

Each line ends with the Löwdin charge.
Atoms and positions in Å:
1 O -1.2802 1.7428 -0.2066  0.089
2 C -0.3865 1.0854 -0.6479  -0.426
3 C 1.0699 1.0361 -0.4074  -0.022
4 H 1.5665 0.5067 -1.2261  0.111
5 H 1.3982 1.2418 0.6185  0.122
6 H 0.8563 2.1544 -0.9478  0.182
7 Ni -2.2472 -0.6351 1.2413  0.820
8 O -0.3665 -0.2749 0.1957  -0.116
I’m glad to see a branch of the Population Growth department that will be focused on repatriation and retention. I’ve shared before how important I think it is to raise our children to know and celebrate New Brunswick’s strengths. We need to encourage more people to share the everyday stories about what makes this province a great place in which to live and to work. Pride and loyalty to our community will drive sustainable change, especially as our society continues to become more technologically mobile.
We also need to look at whether or not we are training our children for jobs that exist here, and how we can adjust both what schooling is offered and what opportunities are here. More hands-on technical opportunities throughout the public school curriculum that allow youth to explore potential interests in trades alongside academic training is key.
The government’s website lists 11 universities in our province; several of these have distinguished programs in fields such as engineering and anthropology. We graduate Rhodes Scholars and Nobel Prize winners. But how many jobs do we have for them here? Imagine the potential talent that is sitting in our classrooms right now. We can do more to provide targeted employment opportunities that meet their skill sets.
That national headline, the one that said New Brunswick “can’t find people” to live here? It appeared less than a week after another national headline that proclaimed to explain why our province is “losing jobs and workers.” This is what people across our country are seeing when they read about New Brunswick. That’s the perception we need to change if we’re going to grow our population rather than just study and speculate on what’s making it shrink.
Sure, Premier Gallant and his communications team aren’t the ones writing the headlines. But the words we as New Brunswickers are choosing to use do contribute to those reoccurring national themes. We don’t need to ignore or sugar-coat reality. We just need to remember the power of the self-fulfilling prophecy. So let’s make sure we’re touting our ministry of population growth as one that is building on existing success, not reacting to a doomsday scenario.
A version of this post appeared originally in the Times & Transcript. Click here for more She Said columns.